Answer biology questions


Please watch the following video:

The Facts and Knowledge of BT Corn (

Why is Bt corn not poisonous to people while it’s poisonous to insects?

Is Bt corn a Genetically Modified Organism? Explain your answer.

This video demonstrate the benefits of Bt corn. Research and list five (5) concerns that people have with this technology in general.

• Attached: materials data:
<<<
# CoGeO3

CoGeO3 after structural relaxation (GGA+U, the Materials Project).

Summary:
E (MP2020) = -7.106 eV/atom
Formation energy = -1.791 eV/atom
Symmetry = No. 15

a b c (Å): 6.6937 6.6937 5.2380
angles (deg): 81.49 81.49 86.09
With the nearest neighbours (Å) after each atom.
Sites, in units of the cell vectors:
Ge 0.6054 0.7956 0.2151  4 O 1.74-1.85
Co 0.2699 0.7301 0.7500  4 O 2.03-2.13
O 0.2895 0.4285 0.5897  2 Ge 1.82-1.85
O 0.7927 0.9774 0.1353  1 Ge 1.77
Co 0.7301 0.2699 0.2500  4 O 2.03-2.13
O 0.1359 0.6273 0.1159  1 Ge 1.74
O 0.6273 0.1359 0.6159  1 Ge 1.74
Ge 0.2044 0.3946 0.2849  4 O 1.74-1.85
O 0.0226 0.2073 0.3647  1 Ge 1.77
O 0.9774 0.7927 0.6353  1 Ge 1.77
O 0.8641 0.3727 0.8841  1 Ge 1.74
Co 0.0939 0.9061 0.2500  6 O 2.08-2.19
Co 0.9061 0.0939 0.7500  6 O 2.08-2.19
O 0.3727 0.8641 0.3841  1 Ge 1.74
Ge 0.3946 0.2044 0.7849  4 O 1.74-1.85
O 0.2073 0.0226 0.8647  1 Ge 1.77
O 0.7105 0.5715 0.4103  2 Ge 1.82-1.85
O 0.5715 0.7105 0.9103  2 Ge 1.82-1.85
O 0.4285 0.2895 0.0897  2 Ge 1.82-1.85
Ge 0.7956 0.6054 0.7151  4 O 1.74-1.85

# EuWO3

EuWO3 after structural relaxation (GGA+U, the Materials Project).

Summary:
E (MP2020) = -10.021 eV/atom
Formation energy = -2.409 eV/atom
Symmetry = No. 221

a b c (Å): 4.1002 4.1002 4.1002
angles (deg): 90.00 90.00 90.00
With the nearest neighbours (Å) after each atom.
Sites, in units of the cell vectors:
W 0.5000 0.5000 0.5000  6 O 2.05
O 0.5000 0.0000 0.5000  2 W 2.05
O 0.5000 0.5000 0.0000  2 W 2.05
O 0.0000 0.5000 0.5000  2 W 2.05
Eu 0.0000 0.0000 0.0000  12 O 2.90

# Zn3Ge3W2O12

Zn3Ge3W2O12 after structural relaxation (GGA+U, the Materials Project).

Summary:
E (MP2020) = -6.920 eV/atom
Formation energy = -1.773 eV/atom
Symmetry = No. 230

a b c (Å): 10.7621 10.7621 10.7621
angles (deg): 109.47 109.47 109.47
With the nearest neighbours (Å) after each atom.
Sites, in units of the cell vectors:
O 0.5854 0.1885 0.2169  1 Ge 1.79
O 0.4716 0.6031 0.1885  1 Ge 1.79
O 0.3685 0.5854 0.8969  1 Ge 1.79
O 0.0854 0.8685 0.3969  1 Ge 1.79
O 0.3969 0.8115 0.5284  1 Ge 1.79
W 0.5000 0.0000 0.0000  6 O 2.14
Ge 0.2500 0.1250 0.8750  4 O 1.79
Ge 0.8750 0.1250 0.7500  4 O 1.79
O 0.6031 0.1885 0.4716  1 Ge 1.79
O 0.9146 0.2831 0.3115  1 Ge 1.79
Ge 0.6250 0.3750 0.2500  4 O 1.79
W 0.0000 0.5000 0.0000  6 O 2.14
O 0.4146 0.1031 0.6315  1 Ge 1.79
O 0.3685 0.2831 0.4716  1 Ge 1.79
O 0.7831 0.8685 0.9716  1 Ge 1.79
O 0.1885 0.2169 0.5854  1 Ge 1.79
Zn 0.1250 0.3750 0.7500  8 O 2.32-2.46
Zn 0.8750 0.7500 0.6250  8 O 2.32-2.46
Zn 0.6250 0.8750 0.7500  8 O 2.32-2.46
O 0.7169 0.6885 0.0854  1 Ge 1.79
W 0.5000 0.5000 0.5000  6 O 2.14
Zn 0.2500 0.8750 0.6250  8 O 2.32-2.46
W 0.0000 0.5000 0.5000  6 O 2.14
O 0.5284 0.6315 0.7169  1 Ge 1.79
O 0.8685 0.3969 0.0854  1 Ge 1.79
O 0.0854 0.7169 0.6885  1 Ge 1.79
Zn 0.7500 0.1250 0.3750  8 O 2.32-2.46
O 0.3115 0.8969 0.0284  1 Ge 1.79
Ge 0.7500 0.8750 0.1250  4 O 1.79
O 0.7169 0.5284 0.6315  1 Ge 1.79
O 0.6885 0.1031 0.9716  1 Ge 1.79
O 0.5284 0.3969 0.8115  1 Ge 1.79
>>>

Chemistry Question


I need someone to make me a script of exactly what to say for a video assignment in organic chemistry and I also need drawings on the assignment if they are required. Script doesn’t have to be too complicated and should be for about 2 – 3 minutes long. I have attached everything you will need.



Select a sexually transmitted infection (STI) and do research on it. Write a 3-5 page paper about the condition/issue. In the paper discuss the concepts below:

  • What is the pathophysiology of one STI
  • What is the etiology of the selected STI
  • What are the clinical manifestations of the selected STI
  • What is the treatment for the selected STI

week 2 dis


Equilibrium can be found in everyday relationships within our own bodies (i.e., the Sodium/Bicarb pH balance for blood pH, water balance within the body, stomach acid, taste buds, etc.), in the environment, or within a species (i.e., gender in frogs) or in everyday life (i.e., a book on a table at rest).  

WCUP Sodium Chloride and Water Molecules Question

Question Question

I’m working on a anatomy writing question and need the explanation and answer to help me learn.

CHOOSE ONLY ONE of the two following topics to answer: 

  1. Explain, in detail, the chemical bond that forms sodium chloride and the chemical bond that forms water molecules.


  1. Describe, in detail, the human cell’s fluid-mosaic, plasma membrane. 

Article discussion synopsis


To prepare for class on you will write a synopsis of the article in no more than 300 words highlighting the following aspects.

  1. Why did the authors perform the experiments?
  2. What methods did you find interesting from the study?
  3. What conclusions did the authors reach?
  4. What was the significance of the main finding of the paper?

Complimentary and Alternative Medicine (CAM) Practitioner Powerpoint



Conduct a search on the Internet to find a certified CAM practitioner in the Miami, FL, area.  

Make arrangements to interview the selected CAM practitioner and ask the following questions:

Nature of the practice

  1. Interpersonal collaboration
  2. Environment where they practice

Requirements where to become a CAM practitioner

  • Which types of health conditions do they provide care for.

week 3 dis


Acids and bases are all around us in our daily lives from the environment in our stomach to the food we eat and what we drink. Find and describe a food item/product that is basic and describe why there are more acidic foods in comparison to basic foods.

ERTH 310 06


all your posts need to focus on the science of the Earth/Atmosphere/Ocean itself, not the life on it. For example, discussing how a polar bear is affected by climate change is off-topic. Discussing how the Earth/Atmosphere/Ocean itself is affected by climate change is on-topic.

please read the word document


the drug is orserdu(Elacestrant) I attached the information that should be included it in each section and also I attached an example for another drug and how they did it to make it easier,i want to have the same information for this drug.